Job =
Reproduce the whole of the material further down without additions.

Contents =
........
The following is a calculated powder diffractogram of CrIrI2. It was derived from a crystal structure in Alexandria, relaxed with GGA-PBE, using Cu Ka.
Peak positions follow from Bragg's law for the DFT cell and can differ from measured ones.

Structure:
Cell: 7.8766 7.8766 7.8766 Å, 135.91 135.91 64.12°
Sites, in units of the cell vectors:
Cr 0.0000 0.0000 0.0000
Cr 0.7500 0.2500 0.5000
Ir 0.2500 0.7500 0.5000
Ir 0.5000 0.5000 0.0000
I 0.1369 0.6250 0.0119
I 0.3750 0.3869 0.5119
I 0.6131 0.1250 0.9881
I 0.8750 0.8631 0.4881

Top 12 peaks for 5 to 70 degrees two-theta, in order of rising 2θ:
- 2θ 16.40, intensity 22
- 2θ 25.13, intensity 100
- 2θ 34.58, intensity 5
- 2θ 39.65, intensity 5
- 2θ 40.77, intensity 52
- 2θ 43.28, intensity 22
- 2θ 46.22, intensity 18
- 2θ 50.70, intensity 29
- 2θ 55.03, intensity 5
- 2θ 62.87, intensity 7
- 2θ 65.17, intensity 13
- 2θ 68.81, intensity 6


The following is a calculated powder diffractogram of CrIrI. It was derived from a crystal structure in Alexandria, relaxed with GGA-PBE, using Cu Ka.
Peak positions follow from Bragg's law for the DFT cell and can differ from measured ones.

Structure:
Cell: 10.8980 3.7147 3.7147 Å, 59.48 90.00 90.00°
Sites, in units of the cell vectors:
Cr 0.0000 0.0000 0.0000
Cr 0.5000 0.0709 0.0709
Ir 0.1178 0.3306 0.3306
Ir 0.8822 0.3306 0.3306
I 0.3158 0.7604 0.7604
I 0.6842 0.7604 0.7604

Top 12 peaks for 5 to 70 degrees two-theta, in order of rising 2θ:
- 2θ 8.11, intensity 100
- 2θ 27.66, intensity 48
- 2θ 28.87, intensity 27
- 2θ 29.08, intensity 91
- 2θ 32.45, intensity 31
- 2θ 37.45, intensity 87
- 2θ 41.43, intensity 21
- 2θ 43.48, intensity 28
- 2θ 43.63, intensity 40
- 2θ 49.05, intensity 21
- 2θ 49.46, intensity 23
- 2θ 49.80, intensity 24


The following is a calculated powder diffractogram of SrCrIrSI. It was derived from a crystal structure in Alexandria, relaxed with GGA-PBE, using Cu Ka.
Peak positions follow from Bragg's law for the DFT cell and can differ from measured ones.

Structure:
Cell: 4.5033 4.0823 7.4226 Å, 90.00 101.57 90.00°
Sites, in units of the cell vectors:
Sr 0.0000 0.0000 0.0000
Cr 0.3570 0.5000 0.3823
Ir 0.5762 0.0000 0.3011
S 0.8525 0.5000 0.2641
I 0.4078 0.5000 0.7578

Top 12 peaks for 5 to 70 degrees two-theta, in order of rising 2θ:
- 2θ 12.17, intensity 63
- 2θ 20.13, intensity 50
- 2θ 24.48, intensity 66
- 2θ 25.02, intensity 89
- 2θ 25.63, intensity 71
- 2θ 28.51, intensity 60
- 2θ 30.68, intensity 100
- 2θ 33.87, intensity 44
- 2θ 43.42, intensity 40
- 2θ 44.38, intensity 39
- 2θ 46.81, intensity 42
- 2θ 57.69, intensity 41


The following is a calculated powder diffractogram of K2LiCrI6. It was derived from a crystal structure in Alexandria, relaxed with GGA-PBE, using Cu Ka.
Peak positions follow from Bragg's law for the DFT cell and can differ from measured ones.

Structure:
Cell: 7.7332 7.7462 8.2311 Å, 117.73 117.96 90.07°
Sites, in units of the cell vectors:
K 0.0000 0.0000 0.0000
K 0.4996 0.4983 0.9989
Li 0.2110 0.7094 0.4190
Cr 0.7463 0.2460 0.4928
I 0.0591 0.4324 0.5022
I 0.4414 0.0682 0.5002
I 0.5220 0.0332 0.0509
I 0.5737 0.5622 0.5107
I 0.9266 0.9375 0.4918
I 0.9796 0.4658 0.9515

Top 12 peaks for 5 to 70 degrees two-theta, in order of rising 2θ:
- 2θ 13.50, intensity 20
- 2θ 14.34, intensity 23
- 2θ 26.73, intensity 62
- 2θ 26.79, intensity 21
- 2θ 27.10, intensity 31
- 2θ 27.22, intensity 100
- 2θ 28.91, intensity 53
- 2θ 32.73, intensity 43
- 2θ 33.76, intensity 24
- 2θ 33.90, intensity 21
- 2θ 36.72, intensity 26
- 2θ 49.12, intensity 20


The following is a calculated powder diffractogram of KCr2SiI. It was derived from a crystal structure in Alexandria, relaxed with GGA-PBE, using Cu Ka.
Peak positions follow from Bragg's law for the DFT cell and can differ from measured ones.

Structure:
Cell: 5.3652 5.3652 6.1288 Å, 90.00 90.00 90.00°
Sites, in units of the cell vectors:
K 0.0000 0.0000 0.0000
Cr 0.0000 0.5000 0.5000
Cr 0.5000 0.0000 0.5000
Si 0.5000 0.5000 0.0000
I 0.0000 0.0000 0.5000
........

Written answer =
The following is a calculated powder diffractogram of CrIrI2. It was derived from a crystal structure in Alexandria, relaxed with GGA-PBE, using Cu Ka.
Peak positions follow from Bragg's law for the DFT cell and can differ from measured ones.

Structure:
Cell: 7.8766 7.8766 7.8766 Å, 135.91 135.91 64.12°
Sites, in units of the cell vectors:
Cr 0.0000 0.0000 0.0000
Cr 0.7500 0.2500 0.5000
Ir 0.2500 0.7500 0.5000
Ir 0.5000 0.5000 0.0000
I 0.1369 0.6250 0.0119
I 0.3750 0.3869 0.5119
I 0.6131 0.1250 0.9881
I 0.8750 0.8631 0.4881

Top 12 peaks for 5 to 70 degrees two-theta, in order of rising 2θ:
- 2θ 16.40, intensity 22
- 2θ 25.13, intensity 100
- 2θ 34.58, intensity 5
- 2θ 39.65, intensity 5
- 2θ 40.77, intensity 52
- 2θ 43.28, intensity 22
- 2θ 46.22, intensity 18
- 2θ 50.70, intensity 29
- 2θ 55.03, intensity 5
- 2θ 62.87, intensity 7
- 2θ 65.17, intensity 13
- 2θ 68.81, intensity 6


The following is a calculated powder diffractogram of CrIrI. It was derived from a crystal structure in Alexandria, relaxed with GGA-PBE, using Cu Ka.
Peak positions follow from Bragg's law for the DFT cell and can differ from measured ones.

Structure:
Cell: 10.8980 3.7147 3.7147 Å, 59.48 90.00 90.00°
Sites, in units of the cell vectors:
Cr 0.0000 0.0000 0.0000
Cr 0.5000 0.0709 0.0709
Ir 0.1178 0.3306 0.3306
Ir 0.8822 0.3306 0.3306
I 0.3158 0.7604 0.7604
I 0.6842 0.7604 0.7604

Top 12 peaks for 5 to 70 degrees two-theta, in order of rising 2θ:
- 2θ 8.11, intensity 100
- 2θ 27.66, intensity 48
- 2θ 28.87, intensity 27
- 2θ 29.08, intensity 91
- 2θ 32.45, intensity 31
- 2θ 37.45, intensity 87
- 2θ 41.43, intensity 21
- 2θ 43.48, intensity 28
- 2θ 43.63, intensity 40
- 2θ 49.05, intensity 21
- 2θ 49.46, intensity 23
- 2θ 49.80, intensity 24


The following is a calculated powder diffractogram of SrCrIrSI. It was derived from a crystal structure in Alexandria, relaxed with GGA-PBE, using Cu Ka.
Peak positions follow from Bragg's law for the DFT cell and can differ from measured ones.

Structure:
Cell: 4.5033 4.0823 7.4226 Å, 90.00 101.57 90.00°
Sites, in units of the cell vectors:
Sr 0.0000 0.0000 0.0000
Cr 0.3570 0.5000 0.3823
Ir 0.5762 0.0000 0.3011
S 0.8525 0.5000 0.2641
I 0.4078 0.5000 0.7578

Top 12 peaks for 5 to 70 degrees two-theta, in order of rising 2θ:
- 2θ 12.17, intensity 63
- 2θ 20.13, intensity 50
- 2θ 24.48, intensity 66
- 2θ 25.02, intensity 89
- 2θ 25.63, intensity 71
- 2θ 28.51, intensity 60
- 2θ 30.68, intensity 100
- 2θ 33.87, intensity 44
- 2θ 43.42, intensity 40
- 2θ 44.38, intensity 39
- 2θ 46.81, intensity 42
- 2θ 57.69, intensity 41


The following is a calculated powder diffractogram of K2LiCrI6. It was derived from a crystal structure in Alexandria, relaxed with GGA-PBE, using Cu Ka.
Peak positions follow from Bragg's law for the DFT cell and can differ from measured ones.

Structure:
Cell: 7.7332 7.7462 8.2311 Å, 117.73 117.96 90.07°
Sites, in units of the cell vectors:
K 0.0000 0.0000 0.0000
K 0.4996 0.4983 0.9989
Li 0.2110 0.7094 0.4190
Cr 0.7463 0.2460 0.4928
I 0.0591 0.4324 0.5022
I 0.4414 0.0682 0.5002
I 0.5220 0.0332 0.0509
I 0.5737 0.5622 0.5107
I 0.9266 0.9375 0.4918
I 0.9796 0.4658 0.9515

Top 12 peaks for 5 to 70 degrees two-theta, in order of rising 2θ:
- 2θ 13.50, intensity 20
- 2θ 14.34, intensity 23
- 2θ 26.73, intensity 62
- 2θ 26.79, intensity 21
- 2θ 27.10, intensity 31
- 2θ 27.22, intensity 100
- 2θ 28.91, intensity 53
- 2θ 32.73, intensity 43
- 2θ 33.76, intensity 24
- 2θ 33.90, intensity 21
- 2θ 36.72, intensity 26
- 2θ 49.12, intensity 20


The following is a calculated powder diffractogram of KCr2SiI. It was derived from a crystal structure in Alexandria, relaxed with GGA-PBE, using Cu Ka.
Peak positions follow from Bragg's law for the DFT cell and can differ from measured ones.

Structure:
Cell: 5.3652 5.3652 6.1288 Å, 90.00 90.00 90.00°
Sites, in units of the cell vectors:
K 0.0000 0.0000 0.0000
Cr 0.0000 0.5000 0.5000
Cr 0.5000 0.0000 0.5000
Si 0.5000 0.5000 0.0000
I 0.0000 0.0000 0.5000